Sunday, September 19, 2010

Where's THE PLAN? Did I miss something?

 “I have six children, and five grandchildren and I’m scared to death, absolutely scared to death what’s going on in our country.” this came from an Eric Cantor supporter at his book signing.

What are these people scared of?? What has President Obama and this administration done that is so scary? It boggles my mind, and not because I'm a partisan democrat, I really want someone to tell us in plain English exactly what Obama has done to scare you.
There's got to be a cut in spending they say, there's got to be a cut in taxes they say. But when the GOP is asked what they will do to cut spending they have no answers. I thought their plan was coming out this month. Where is their plan? Did I miss that press release?

Sen. Judd Gregg is one of the outspoken who is calling for extending the Bush tax cuts for the rich, all the while complaining about the deficit and spending. They do not look at these billions needed for tax cuts as spending. On ABC's Top Line, Sen. Gregg was asked where the spending cuts would come from to pay for the billions to be added to the deficit through the tax cut extension... (And remember, the GOP wants to make these tax cuts permanent)...

Gregg said, " We’re building the deficit because of the spending, that’s where the deficit is coming from…that massive explosion of spending is where the problem is. It’s not on the revenue side, it’s on the spending side. So why put in all this additional spending. Why don’t you just start cutting spending first because that is where the problem is".

 WHAT?? Is that his answer? YES!

A CNBC host asked Rep. Eric Cantor what he would cut and all he could come up with is.....  “We’ve got spending to cut in the short term what we’ve got is a huge problem in the long term,”

WHAT?? These answers make no sense. Either they have no answers or they really don't want to turn off the voters with the truth of what their plans are. Cut Social Security, Medicare, Medicaid, repeal healthcare reform.....

One by one, GOP after GOP has offered the same rhetoric....Rep. Paul Ryan (R-WI) said in July that he  “would rescind the unspent stimulus funds,” which at the time, meant that he would do away with $55 billion in middle class tax cuts. Rep. Roy Blunt (R-MO) suggested eliminating the Affordable Care Act, thinking it would save $1 trillion, but it would actually increase the deficit by $143 billion.

When Mitch McConnell was asked about the GOP's plans all he would say was, “I won’t scoop myself,
and six weeks later he still had nothing to offer....If and when the GOP finally comes forward it will be the same 'ole same 'ole, less spending and cut taxes. This is the change America wants?? I don't get it....

Mike Pence won the straw poll at the "Republican get-together" this week,  so even this man, who the rightwingers pick to be their candidate for 2012, had nothing more to offer than this...When asked what he would do besides cut taxes to help the economy he said tax cuts.

They have no answers, no real plans to help our economy recover, and especially no plans to bring jobs back to America. They want our government to simply turn away from America, to let this country and it's people regulate themselves. They want to repeal finance reform, and we all know what happens when there is no regulations in place. But some of the people in this country seem to like it that way.


Annette said...

Great post Sue, however one correction... Blunt is from my state... MO not MI.. just an fyi.

**These calculated crystals were left in the page by mistake:**
********
# Tb2Dy2Se3S2
Computed X-ray powder pattern, Cu Kα (λ = 1.5418 Å). Input: DFT lattice parameters and positions (PBE).
Kinematic intensities with the Lorentz-polarization factor, no thermal factor.

Cell and atoms:
```
Tb2Dy2Se3S2
1.0
-2.784 2.784 7.031
2.784 -2.784 7.031
2.784 2.784 -7.031
Tb Dy Se S
2 2 3 2
direct
0.213 0.213 0.000
0.787 0.787 0.000
0.000 0.500 0.500
0.500 0.000 0.500
0.000 0.000 0.000
0.250 0.750 0.500
0.750 0.250 0.500
0.401 0.401 0.000
0.599 0.599 0.000
```

Principal peaks in the range 2θ from 10° to 90°, in order of falling intensity:
2θ/deg, intensity
32.15, 100.0
41.37, 54.6
25.33, 49.7
25.94, 44.3
46.11, 36.3
35.77, 32.2
48.85, 26.1
53.34, 26.1
76.52, 16.6
82.13, 15.1

# La2TbNd4
Computed X-ray powder pattern, Cu Kα (λ = 1.5418 Å). Input: DFT lattice parameters and positions (PBE).
Kinematic intensities with the Lorentz-polarization factor, no thermal factor.

Cell and atoms:
```
La2TbNd4
1.0
6.755 0.000 0.000
3.355 8.251 0.000
1.357 -0.059 8.959
La Tb Nd
4 2 8
direct
0.000 0.000 0.000
0.029 0.344 0.786
0.292 0.422 0.463
0.602 0.583 0.604
0.302 0.796 0.283
0.593 0.213 0.788
0.222 0.585 0.961
0.314 0.196 0.145
0.409 0.001 0.565
0.607 0.806 0.931
0.688 0.418 0.115
0.856 0.688 0.284
0.889 0.188 0.427
0.992 0.811 0.638
```

Principal peaks in the range 2θ from 10° to 90°, in order of falling intensity:
2θ/deg, intensity
31.85, 100.0
30.91, 68.0
31.29, 66.5
31.12, 63.1
30.29, 32.7
31.94, 32.0
30.41, 31.6
43.88, 17.6
62.18, 16.1
55.68, 15.9

# MnFeTc
Computed X-ray powder pattern, Cu Kα (λ = 1.5418 Å). Input: DFT lattice parameters and positions (PBE).
Kinematic intensities with the Lorentz-polarization factor, no thermal factor.

Cell and atoms:
```
MnFeTc
1.0
-2.316 2.330 3.325
2.316 -2.330 3.325
2.316 2.330 -3.325
Mn Fe Tc
2 2 2
direct
0.500 0.000 0.000
0.500 0.500 0.500
0.000 0.000 0.000
0.500 0.000 0.500
0.125 0.375 0.750
0.875 0.625 0.250
```

Principal peaks in the range 2θ from 10° to 90°, in order of falling intensity:
2θ/deg, intensity
45.68, 100.0
45.33, 100.0
38.53, 99.2
45.84, 94.4
82.57, 43.9
47.66, 33.7
47.87, 32.9
74.99, 30.7
38.89, 25.7
38.65, 23.1

# HoThRuSe
Computed X-ray powder pattern, Cu Kα (λ = 1.5418 Å). Input: DFT lattice parameters and positions (PBE).
Kinematic intensities with the Lorentz-polarization factor, no thermal factor.

Cell and atoms:
```
HoThRuSe
1.0
2.013 1.162 7.230
-2.013 1.162 7.230
0.000 -2.325 7.230
Ho Th Ru Se
1 1 1 1
direct
0.000 0.000 0.000
0.189 0.189 0.189
0.590 0.590 0.590
0.756 0.756 0.756
```

Principal peaks in the range 2θ from 10° to 90°, in order of falling intensity:
2θ/deg, intensity
32.96, 100.0
45.03, 50.7
26.85, 37.7
38.88, 32.6
30.48, 23.3
56.91, 21.2
25.88, 21.0
49.49, 20.5
75.36, 18.6
12.24, 17.9


Calculated X-ray diffraction stick pattern of CoCuP2O8 for Cu Kα (λ = 1.5418 Å), from a PBE+U-relaxed structure.

Peak list (6 most intense, 5° ≤ 2θ ≤ 70°, low angle first)
- 17.5 deg, I = 59
- 19.0 deg, I = 100
- 23.7 deg, I = 38
- 25.6 deg, I = 36
********

You are so correct though, they have nothing to offer.. to them tax cuts seem to pay for themselves even when it has been shown over and over how they add to the debt.

Thanks for continuing to expose these frauds for what they are. NOTHING.

Sue said...

thanks Annette, that was Think Progress's mistake ;-)

Why are we the only ones who see these frauds for what they are? I don't get it...

mommapolitico said...

Well, Sue, as always, you hit the nail on the head. Love your style, Girl. Don't hold your breath waiting for the Rethugs to put forth a plan. If they put anything out there, it'll be after November, if then. Their plan is to criticize and try to discredit with lies, hoping against hope that they'll get back in and continue to feed the piggish rich. And build corporate wealth. Don't forget that.

They have no answers. That's why their only goal is to block, obstruct and lie about progress. Great post, Girlie. You always get my hackles up when you call out the GOP on their bullpuckey! :)

mommapolitico said...

...and what's this clickjacking business? Email me...I want to try to protect my blog - sounds dreadful!

Malcolm said...

When you ask them what they are scared of, all they can do is give you vague answers like, "I'm afraid we're losing our freedom" and nonsense like that. I can't remember Colin Powell's exact words, but he basically treated the scared feelings people have about Obama as silliness. He was on one of the Sunday morning shows in 2009 or 2010 and he said that this country is too strong for any one person to destroy it. Colin Powell is sadly becoming a rarity, a conservative public figure who talks with some sense and discusses issues in a calm, rational manner.

If the GOP had worthwhile answers for solving the nation's problems, they would have laid them out already. When you get these clowns on non-conservative media outlets, all they give you is a lot of double talk and non-answers.

Sue said...

hey MP, it's gonna be the same 'ole GOP come November and afterwards if they win anything. They pretend to be concerned about Americans but you NEVER, ever hear the words middleclass come from their mouths! Just like that post of McConnell all hysterical about the tax cuts for the rich, he cracks me up!!

Sue said...

Malcolm, Powell was on one of the morning shows today but this damn computer just will not let me focus on my shows! Every Sunday I tell myself to sit down, have my coffee and watch the talk shows, but halfway through I find myself at the computer and I miss all the good stuff! I missed a good interview from Clinton too cuz I was half listening!

The GOP even goes as far as to say they aren't talking about their plans cuz the media will bash them! LOL. They are so lame and think the people are just as dumb as they are. Well actually some are! lol

JoBama "Truth 101" Kelly said...

Colin Powell is a career dupe. He was tricked into joining the republican party after he retired to keep him from running in 1996. It was Dole's turn that year.

He was duped into the who WMD crap and invasion of Iraq.

Nothing he says is worthy of trust.

Just like republicans.

The Prophet Dervish Z Sanders said...

They want to cut the social safety net. I would say "eliminate" but then they couldn't privatize SS and funnel billions to Wall Street. They've clearly indicated they want to raise the SS retirement age to 70, so I just don't get it why an average person would vote Republican. Medicare and Social Security are POPULAR programs!

On Friday I saw (on Keith Olbermann's program) a clip of Mike Huckabee speaking out against the "no discrimination against people with pre-existing conditions" component of "Obamacare". He likened it to a requirement to provide homeowner's insurance to people whose houses had already burned down.

This from a former minister? The "morals" of those on the Right churn my stomach. It boggles my mind how they can claim to be Christian.

BTW Sue, the comment you left on my blog was in response to a post that was not yet complete. I wanted to see how my images would be displayed and posted them first, made adjustments, and then published my commentary. The post is ready now if you want to take a second first look.

Jolly Roger said...

What you have to understand is that the Rushpubliscum voter (specifically the Klanbagger) doesn't give a damn what his or her hero-leaders are saying. There';s a damn n____r in the WHITE House, AND he's a DEMOCRAT, and that's pretty much all the Klanservatives care about. We've seen, time after time, how this President is actually a pretty committed corporatist, but his skin color and party affiliation makes him a pariah among people who you'd think would be happy to see how right wing he actually is.

Sue said...

But Ayatollah, I think Powell is a sincere RINO, he's one of our smarter
rightwingers and I enjoy him! :-)

I don't get it either w, how can anyone vote R?? I saw that Huckabee clip, unbelievable! But this is what the teabaggers want in a candidate, one who hates America as much as they do...

It's so true JR. Look at the things Obama has done that the righties would be praising if it was a republican president in office. Tax cuts being one of them!

Infidel753 said...
This comment has been removed by the author.
Infidel753 said...

I have six children, and five grandchildren and I’m scared to death, absolutely scared to death what’s going on in our country.”

When it's put that way, it makes sense. I too sometimes feel a bit scared at how prolifically these people reproduce:-)

Gregg: Why don’t you just start cutting spending first because that is where the problem is

Because, you flaming nitwit, we are still suffering from high unemployment and the economy still needs the kind of counter-cyclical stimulus which only the government can provide. Had it not been for the earlier stimulus and bail-outs under both Bush (who is starting to look almost responsible compared to these dingbats) and Obama, the country would have slid into a full-blown depression.

If they were really concerned about the deficit, they would support Obama's plan to cancel the Bush tax cuts for incomes over $250,000, which have little stimulative effect.

Sue said...

LMAO!!! You scared me there for a minute Infidel, I thought you were gonna agree with the whiny woman!

Of course you and the rest of us sane lefties are correct. You can't cut spending in a recession. The people will be sorry when they vote in the teabaggers, that's all I can say. They have to learn by their mistakes but sadly the whole country will suffer right along with them...

Silverfiddle said...

It's the spending. Blame Bush, blame whoever, but it will eventually sink us.

Sue said...

No it won't SF. Don't be such a scaredy cat. We've lived thru worse times and always came back on top, the dems can do it brother, yes we can!!

Sue said...

did ya see my list?? YAY!!

ExpressoSelf said...

OMGosh...I'm so glad I found your blog! Thanks for writing in plain english as I can't understand the mumble jumble of the GOP!

Infidel753 said...

The time to cut spending is after unemployment goes down and the economy is running smoothly on its own. You stop the expensive medication after the patient has recovered his health, not before. The same Keynesian prescription that requires deficit spending now, also calls for the government to run a surplus when the economy is strong -- something which Clinton did, and which Bush very conspicuously failed to do.

We don't know yet what Obama will do when the economy is fully recovered. I hope he will follow Clinton's responsible example rather than Bush's irresponsible one. But at any rate, we have not yet reached that point.

In the meantime, since cutting spending would be inappropriate, we can still make a start on the deficit by letting the Bush tax cuts on the highest incomes expire while leaving them in place for middle incomes -- as Obama has proposed.

My comment about fundamentalists over-breeding was, of course, tongue-in-cheek. Having as I do the history of technology as a special interest, I know very well that there is no such thing as over-population in an absolute sense. And we atheists are expanding our share of the population quite well by [de]conversion, without any need to try to out-multiply the opposition.

Sue said...

well thank you very much Expresso! I'll come by and see you tomorrow, it's been a LONG DAY!

Sue said...

I sure do love your visits Infidel but sometimes I say, HUH?? LOL!

You are so right on everything, and I do hope Obama followers Clintons lead. I have no doubt he will.

Jerry Critter said...

You can't really say that the problem with the deficit is spending.

Calculated crystals from another source follow >
=====
No. 1
Structure and theoretical XRD peak list of TbPmS3 (a crystal structure in Alexandria, relaxed with GGA-PBE; Cu Ka).
Kinematic intensities with the Lorentz-polarization factor, no thermal factor.

Main lines, in order of rising 2θ (10 to 80 degrees two-theta):
two_theta  I_rel
23.97  100.0
25.29  98.6
35.12  49.3
38.56  76.7
43.77  49.3
44.56  49.4

Structural model:
Cell lengths 7.4461, 7.4461, 7.4461 Å; angles 56.46, 56.46, 56.46 degrees
Positions (direct):
Tb: 0.1503 0.1503 0.1503
Tb: 0.8497 0.8497 0.8497
Pm: 0.3545 0.3545 0.3545
Pm: 0.6455 0.6455 0.6455
S: 0.0440 0.4482 0.7595
S: 0.2405 0.9560 0.5518
S: 0.4482 0.7595 0.0440
S: 0.5518 0.2405 0.9560
S: 0.7595 0.0440 0.4482
S: 0.9560 0.5518 0.2405

No. 2
Structure and theoretical XRD peak list of Tb2Pm6S3 (a crystal structure in Alexandria, relaxed with GGA-PBE; Cu Ka).
Kinematic intensities with the Lorentz-polarization factor, no thermal factor.

Main lines, in order of rising 2θ (10 to 80 degrees two-theta):
two_theta  I_rel
28.47  100.0
29.86  95.0
32.99  48.2
47.29  60.9
50.61  34.6
56.15  41.1

Structural model:
Cell lengths 25.1302, 25.1302, 25.1302 Å; angles 8.77, 8.77, 8.77 degrees
Positions (direct):
Tb: 0.0574 0.0574 0.0574
Tb: 0.9426 0.9426 0.9426
Pm: 0.1429 0.1429 0.1429
Pm: 0.3140 0.3140 0.3140
Pm: 0.4305 0.4305 0.4305
Pm: 0.5695 0.5695 0.5695
Pm: 0.6860 0.6860 0.6860
Pm: 0.8571 0.8571 0.8571
S: 0.2132 0.2132 0.2132
S: 0.5000 0.5000 0.5000
S: 0.7868 0.7868 0.7868

No. 3
Structure and theoretical XRD peak list of Tb4PmTh3S8 (a crystal structure in Alexandria, relaxed with GGA-PBE; Cu Ka).
Kinematic intensities with the Lorentz-polarization factor, no thermal factor.

Main lines, in order of rising 2θ (10 to 80 degrees two-theta):
two_theta  I_rel
26.88  23.9
27.62  66.7
31.78  100.0
45.09  37.6
46.04  35.6
54.12  22.5

Structural model:
Cell lengths 8.0459, 8.0459, 8.0459 Å; angles 58.69, 58.69, 58.69 degrees
Positions (direct):
Tb: 0.0000 0.0000 0.0000
Tb: 0.0000 0.5000 0.5000
Tb: 0.5000 0.0000 0.5000
Tb: 0.5000 0.5000 0.0000
Pm: 0.5000 0.5000 0.5000
Th: 0.0000 0.0000 0.5000
Th: 0.0000 0.5000 0.0000
Th: 0.5000 0.0000 0.0000
S: 0.2465 0.2465 0.7452
S: 0.2465 0.7452 0.2465
S: 0.2544 0.2544 0.2544
S: 0.2548 0.7535 0.7535
S: 0.7452 0.2465 0.2465
S: 0.7456 0.7456 0.7456
S: 0.7535 0.2548 0.7535
S: 0.7535 0.7535 0.2548

No. 4
Structure and theoretical XRD peak list of TbPm2TmS4 (a crystal structure in Alexandria, relaxed with GGA-PBE; Cu Ka).
Kinematic intensities with the Lorentz-polarization factor, no thermal factor.

Main lines, in order of rising 2θ (10 to 80 degrees two-theta):
two_theta  I_rel
27.03  21.2
27.64  19.9
27.85  39.1
31.97  100.0
45.44  24.5
46.22  23.5

Structural model:
Cell lengths 6.8177, 3.9055, 6.9679 Å; angles 90.00, 108.79, 90.00 degrees
Positions (direct):
Tb: 0.0000 0.0000 0.0000
Pm: 0.0000 0.5000 0.5000
Pm: 0.5000 0.0000 0.5000
Tm: 0.5000 0.5000 0.0000
S: 0.2493 0.5000 0.2366
S: 0.2596 0.0000 0.7662
S: 0.7404 0.0000 0.2338
S: 0.7507 0.5000 0.7634

~~~~~
=====
Back to the page >

Deficit = Revenue - Spending

The deficit is a function of revenue and spending. They are of equal weight. If you want to decrease the deficit you need to either increase revenue relative to spending or decrease spending relative to revenue.

They are both equally the problem.

The question really is, should we be running a deficit or a surplus at this time? Which is more beneficial to the economy at this time?